Tag Archives: green infrastructure

Building Resilient Communities

Helping Massachusetts prepare for the impacts of climate change is among Mass Audubon’s top advocacy priorities. At the local level, our Shaping the Future of Your Community program is working with partners in the Resilient Taunton Watershed Network to help cities and towns make smart and cost-effective adaptation choices.

Thanks to an EPA Healthy Communities Grant, Mass Audubon and our partners have been working in the Taunton River watershed to provide resources to communities as they plan for climate change impacts.  This low-lying watershed was a critical pilot study for this work, as it is particularly vulnerable to flooding, is the fastest developing watershed in the Commonwealth, and nearly a third of the land is undeveloped, unprotected, and of high ecological value and critical for climate resilience.

Healthy natural systems provide many benefits to the challenges posed by climate change, from forests that sequester and store carbon dioxide to wetlands that act as natural flood absorbers. Nature-based approaches, also known as green infrastructure, to climate change adaptation can provide significant cost savings compared to to manmade engineering solutions. We focused our efforts on providing effective nature-based solutions into local land use management, development, and restoration efforts.

The following is a DFT calculation (wB97M-V/def2-TZVPD) of a 2-piece molecular cluster, C19H23N3O3 overall in a non-equilibrium geometry.

Atoms and positions in Å:
C1 -4.89328 -0.22616 -0.23090
C2 -3.39376 -0.75669 -0.45599
C3 -2.84415 -0.90014 -1.73314
C4 -1.66691 -1.51427 -1.87923
C5 -0.91948 -1.90066 -0.87814
C6 -1.51282 -1.52282 0.58156
C7 -2.84790 -1.09881 0.84325
C8 -3.33111 -0.70542 1.92426
H1 -3.76146 0.30856 2.02345
H2 -4.08406 -1.46802 2.24624
H3 -2.59902 -0.65767 2.82171
H4 -0.95546 -1.45887 1.31323
O1 0.32023 -2.44643 -1.07829
C9 1.02755 -2.76183 0.14172
C10 2.03692 -1.88970 0.53602
O2 1.80084 -1.23945 1.79330
N1 3.20320 -1.99358 -0.02236
H5 3.13769 -2.36832 -0.87841
C11 4.44921 -0.95478 0.19860
H6 5.18432 -1.66090 0.22584
H7 4.22755 -0.82505 1.23530
C12 4.37452 0.31601 -0.41133
H8 4.00950 0.19876 -1.48259
H9 5.48820 0.47045 -0.56210
C13 3.88412 1.61771 -0.12219
N2 2.54893 1.37432 0.33522
C14 1.59952 1.71307 -0.52843
O3 1.97182 2.61282 -1.58696
C15 0.07736 1.83845 0.01293
C16 -0.80637 1.90048 -0.99482
C17 -2.14416 2.18883 -0.70547
N3 -2.54583 2.13872 0.48817
C18 -1.53511 2.12917 1.55329
C19 -0.24301 1.81269 1.21706
H10 0.47658 1.84674 2.03654
H11 -1.86005 2.37148 2.59636
H12 -2.93288 2.15089 -1.54677
H13 -0.57676 1.92475 -1.84447
H14 2.12450 0.76127 1.08146
H15 3.92649 2.44968 -0.42311
H16 4.45978 1.53365 1.24331
H17 1.37640 -3.65586 -0.06991
H18 0.23869 -3.21622 0.93571
H19 -1.35865 -1.83343 -2.79950
H20 -3.70448 -0.74544 -2.66041
H21 -5.38797 -0.94959 0.29846
H22 -4.84604 0.64881 0.19416
H23 -5.28902 -0.29069 -1.25060

Force components x, y, z for each atom (eV/Å):
C 3.2 -4.3 -5.6
C -3.6 0.5 1.1
C -6.4 1.0 0.2
C 0.7 -0.7 -1.8
C -0.7 1.5 7.2
C -4.5 -1.3 -8.8
C 9.1 -2.9 -16.4
C -4.5 3.2 14.3
H -0.2 -0.5 -0.7
H -0.1 0.8 0.3
H -0.7 -0.5 -1.3
H 6.1 -0.1 7.1
O -0.1 0.5 0.9
C -7.0 -1.5 0.1
C -0.1 4.8 9.8
O 1.6 -2.3 -6.6
N 2.3 4.1 2.1
H 0.2 -1.9 -4.0
C -6.4 -2.7 3.9
H 2.8 -0.9 -1.1
H 0.2 0.3 1.4
C 5.0 0.6 -8.7
H 0.5 -0.5 0.5
H -0.7 0.1 -0.4
C -1.2 -12.5 14.6
N -4.2 -0.4 -0.5
C 0.1 7.5 -3.1
O -2.2 -5.5 4.8
C 6.0 -2.1 -10.1
C -4.8 1.4 10.0
C 0.2 -2.2 -3.2
N 0.5 1.6 6.7
C -3.1 -0.5 -2.3
C -2.0 1.5 10.0
H 0.0 -0.3 -0.2
H 0.1 -0.6 -1.2
H 1.3 0.4 1.3
H 4.0 0.1 -12.5
H 1.8 0.2 -0.4
H 1.7 11.2 -5.5
H -1.1 1.4 -3.2
H 2.7 -4.3 -1.4
H 1.7 2.3 -1.2
H 0.9 -0.4 -2.7
H 3.1 -0.3 2.6
H -1.3 -1.6 1.7
H -0.3 4.9 2.1
H -0.5 0.8 0.3

The value obtained for the relative energy (zero: lowest compared OMol25 entry of this formula, charge and spin) is 435.18 kcal per mole. Its total charge is 0. Its calculated total energy is -30672.8675 eV. The gap between HOMO and LUMO is 8.12 eV.

These are the natural (NBO) partial charges, in e, on atoms 1 to 6: C -0.624; C 0.045; C -0.198; C -0.339; C 0.319; C -0.200

* * * * *

Below is a cluster of 9 separate species, H18O9 in total, with properties calculated with ωB97M-V/def2-TZVPD.

Each line ends with the Mulliken charge.
Geometry (Å):
O1 -3.40132 -12.31192 -21.96087  -0.6238
H1 -3.43000 -11.69926 -21.22599  0.3166

The Taunton River and its watershed are vulnerable to flooding. Photo: Wikimedia Commons user Marcbela

We held interactive workshops in Dighton, Halifax, Middleboro, Norton, and Taunton where we heard from local decision makers from more than 25 communities on the climate change vulnerabilities their cities and towns face. We discussed how to identify high priority lands for conservation with our Mapping And Prioritizing Parcels for Resilience tool, and provided a green infrastructure map for the watershed, developed by Manomet.  The project also offered case studies on successful examples of green infrastructure projects that already exist in the region. We listened to the unique challenges of each community and tailored these resources to their needs. We are also continuing our partnership with RTWN to help communities in the Taunton watershed implement their green infrastructure projects.

The training program left local communities within the watershed equipped to make choices that will make them more resilient to future impacts of climate change.  Now we are taking what we’ve learned and bringing it to communities statewide and beyond.  We are working with the state’s Municipal Vulnerability Preparedness program to train hundreds of people working in 71 communities on MVP plans; and are sharing the training materials and lessons learned with many other groups including the Citizen Planner Training Collaborative and Rhode Island Green Infrastructure Coalition.

Participants in our workshops discussed how to identify high priority lands for conservation and incorporate green infrastructure into adaptation planning.

The Healthy Communities Project was a partnership among the Southeast Region Planning and Economic Development District (SRPEDD), Mass Audubon, The Nature Conservancy, Manomet, and the Metropolitan Area Planning Council.

Between two parts of the article: records of molecules:
- - -
i | Computed, not measured: a 9-piece molecular cluster, H18O9 overall, with ωB97M-V/def2-TZVPD.

Output
charge	0
frontier orbital gap	0.369	Ha
multiplicity	1
LUMO energy	-0.658	eV
SMILES	O.O.O.O.O.O.O.O.O

Geometry (Å):
O -0.85919 -1.76669 1.64838
H -0.96942 -2.55037 1.10221
H -1.65436 -1.24940 1.49496
O -0.81604 1.65358 1.76499
H -0.92661 0.78558 1.37516
H -1.24943 1.59682 2.61971
O -0.89745 0.98819 -3.53682
H -1.14347 0.06952 -3.66936
H -1.33554 1.46188 -4.24879
O 1.90966 -3.27785 2.06830
H 1.94312 -2.42756 1.62588
H 1.91345 -3.06154 3.00445
O -3.19841 2.05100 -2.08480
H -3.63015 1.50348 -2.74324
H -2.27314 1.79633 -2.12789
O 2.95898 0.42422 -0.43630
H 2.00333 0.52052 -0.50848
H 3.09280 -0.05606 0.38260
O 1.50506 2.06855 -2.80731
H 0.64811 1.73246 -3.09346
H 1.41318 2.20224 -1.86186
O 0.27259 -0.22599 -0.37899
H -0.43981 -0.01491 -0.98685
H -0.10259 -0.88357 0.22141
O 0.71974 -1.38507 3.98524
H 0.80282 -0.43257 4.06643
H 0.31278 -1.52276 3.12444

***

ii | Computed, not measured: a 9-piece molecular cluster, H18O9 overall, with ωB97M-V/def2-TZVPD.

Output
charge	0
frontier orbital gap	0.381	Ha
multiplicity	1
LUMO energy	-0.209	eV
SMILES	O.O.O.O.O.O.O.O.O

Geometry (Å):
O -24.83838 22.30849 11.74364
H -23.90934 22.05360 11.88875
H -24.92704 22.58588 10.80817
O -25.05750 24.96529 11.84531
H -25.57897 24.91885 11.04764
H -25.05948 24.05035 12.00367
O -27.14806 23.49803 10.02786
H -27.32272 23.56344 9.08368
H -27.71864 22.80476 10.38053
O -26.02085 19.54907 12.01500
H -26.73715 19.21585 12.53994
H -25.65493 20.35039 12.43771
O -28.21415 18.75836 13.55555
H -28.84493 18.53651 12.86289
H -28.58897 19.39385 14.13717
O -28.56018 21.33112 10.95449
H -29.44637 20.99153 11.09741
H -28.16292 21.63337 11.81034
O -25.87004 20.51176 15.06918
H -25.25262 20.05645 14.51546
H -25.29325 21.16247 15.44934
O -27.27647 21.98323 13.21179
H -26.56045 22.57690 13.01971
H -26.98314 21.58291 14.04961
O -27.58262 19.03920 16.75776
H -26.94547 19.49773 16.20034
H -27.09673 19.20384 17.58018

***

iii | Computed, not measured: a 9-piece molecular cluster, H18O9 overall, with ωB97M-V/def2-TZVPD.

Output
charge	0
frontier orbital gap	0.392	Ha
multiplicity	1
LUMO energy	0.155	eV
SMILES	O.O.O.O.O.O.O.O.O

Geometry (Å):
O -4.03622 -34.86924 -5.36330
H -3.38913 -35.45608 -4.95204
H -3.78215 -33.96991 -5.07148
O -2.44079 -34.97868 -11.63769
H -2.30666 -34.44443 -12.42632
H -3.41076 -35.08515 -11.57101
O -4.33151 -37.35133 -7.92773
H -4.33400 -37.72789 -7.04051
H -3.48436 -37.62541 -8.30629
O -3.40888 -34.48505 -8.02348
H -3.71894 -34.79231 -7.14397
H -3.59827 -35.21389 -8.61954
O -6.79103 -35.70356 -5.72483
H -5.84923 -35.45866 -5.69027
H -7.25792 -34.93398 -5.38458
O -5.21559 -35.34890 -11.36836
H -5.84624 -35.74239 -11.98220
H -5.39298 -35.78152 -10.52095
O -1.56110 -32.46637 -8.46333
H -1.53605 -32.24091 -9.39770
H -2.23374 -33.18120 -8.39195
O -2.74845 -32.28609 -4.61295
H -2.61828 -32.51789 -5.54639
H -1.87956 -32.40651 -4.21032
O -0.34075 -36.20614 -9.95405
- - -

You can learn more about the project, and view the presentations and case studies, here.